Azure Spring Apps File Processing Sample

1. Scenario

1.1. Log Files Explanation

  1. A system generates log files in folders named by date: /var/log/system-a/${yyyy-MM-dd}.

  2. The log files are txt files named by hour and minute: ${hh-mm}.txt.

  3. Each line of the log files will have format like this: ${name,favorite_color,favorite_number}.

    Here is a picture about folder structure and log file:


1.2. File Processing Requirements

1.2.1. Functional Requirements

  1. Before app starts, the number of files to be processed in unknown.

    • All files in specific folder should be processed.
    • All files in sub folder should be processed, too.
  2. Each line should be converted into an avro object. Here is the format of avro:

      "namespace": "",
      "type": "record",
      "name": "User",
      "fields": [
          "name": "name",
          "type": "string"
          "name": "favorite_number",
          "type": [
          "name": "favorite_color",
          "type": [
  3. Send the avro object to Azure Event Hubs.

  4. After file processed, move the file to another folder to avoid duplicate processing. Here is an example of move target folder: /var/log/system-a-processed/${yyyy-MM-dd}

    Here is a picture about moving log files after processed:


1.2.2. Non-Functional Requirements

  1. The system must be robust.

    • 1.1. Handle invalid file. Current application only handle txt files. For other file types like csv, it will be filtered out.


    • 1.2. Handle invalid line. When there is a invalid data line in a file, output a warning log then continue processing.


  2. Easy to track.

    • 2.1. When there is invalid line, the log should contain these information:
      • Which file?
      • Which line?
      • Why this line is invalid?
      • What is the string value of this line?
    • 2.2. Track each step of a specific file.
      • Does this file be added in to processing candidate?
      • If the file is filtered out, why it's filtered out?
      • How many line does this file have?
      • Does each line of this file been converted to avro object and send to Azure Event Hubs successfully?

1.3. System Diagram


  1. Azure Spring Apps: Current application will run on Azure Spring Apps.
  2. Azure Storage Files: Log files stored in Azure Storage files.
  3. Azure Event Hubs: In log files, each valid line will be converted into avro format then send to Azure Event Hubs.
  4. Log Analytics: When current application run in Azure Spring Apps, the logs can be viewed by Log Analytics.

1.4. The Application

The scenario is a classic Enterprise Integration Pattern, so we use the Spring Boot + Spring Integration in this application.

2. Run Current Sample on Azure Spring Apps Consumption Plan

2.1. Provision Required Azure Resources

  1. Provision an Azure Spring Apps instance. Refs: Quickstart: Provision an Azure Spring Apps service instance.
  2. Create An app in created Azure Spring Apps.
  3. Create an Azure Event Hub. Refs: Create an event hub using Azure portal.
  4. Create Azure Storage Account. Refs: Create a storage account.
  5. Create a File Share in created Storage account.
  6. Mount Azure Storage into Azure Spring Apps to /var/log/. Refs: How to enable your own persistent storage in Azure Spring Apps.

2.2. Deploy Current Sample

  1. Set these environment variables for the app.

  2. Upload some sample log files into Azure Storage Files. You can use files in ./test-files/var/log/system-a.

  3. Build package.

    ./mvnw clean package
  4. Set necessary environment variables according to the created resources.

  5. Deploy app

    az spring app deploy \
      --resource-group $RESOURCE_GROUP \
      --name $APP_NAME \
      --artifact-path target/azure-spring-apps-file-processing-sample-0.0.1-SNAPSHOT.jar

    After deployed successfully, you can see logs like this: check-logs-after-deployed

2.3. Check Details About File Processing

  1. Check logs by Azure Toolkit for IntelliJ.

    Screenshot: check-logs-by-azure-toolkit-for-intellij

  2. Get log of specific error.

    Input Convert txt string to User failed in search box: /pictures/check-logs-by-azure-toolkit-for-intellij-for-specific-error Error details can be found in the log: /pictures/check-logs-by-azure-toolkit-for-intellij-for-specific-error-1

  3. Get all logs about a specific file.

    Input /var/log/system-a/00-00.txt in search box: get-all-logs-about-a-specific-file-1

    Input /var/log/system-a/00-03.csv in search box: get-all-logs-about-a-specific-file-2

  4. Check events in Azure Event Hubs.

    Check events by Azure Toolkit for IntelliJ: listen-to-event-hub-by-azure-toolkit-for-intellij

    Another way to check events is using ServiceBusExplorer. It can give more information about message properties: service-bus-explorer

3. Next Steps

3.1. Store Secrets in Azure Key Vault Secrets

Secret can be stored in Azure Key Vault secrets and used in this application. spring-cloud-azure-starter-keyvault is a useful library to get secrets from Azure KeyVault in Spring Boot applications. And spring-cloud-azure-starter-keyvault supports refresh the secrets in a fixed interval.

The following are some examples of using secrets in current application:

  1. Azure Event Hubs connection string.
  2. Passwords to access file. All passwords can be stored in a key-value map. Here is example of such map:
      {"00-00.txt": "password-0"},
      {"00-01.txt": "password-1"},
      {"00-02.txt": "password-2"}

3.2. Auto Scaling

3.2.1. Scale 0 - 1

Next to the entry, the page also holds calculated crystals >
┌──
[1]
A plane-wave DFT calculation with GGA-PBE was carried out for crystalline MgCo2Rh at its relaxed geometry.

- Fermi-level density of states: 5.737 states/eV/f.u.
- Crystal system: tetragonal
- Total energy: -5.746 eV/atom
- E_form: 0.17 eV per formula unit
- Size of the total moment: 3.7 μB per formula unit

Cell: 4.7625 4.7625 4.7625 Å, 135.09 135.09 65.40°
With the nearest neighbours (Å) after each atom.
Element x y z (fractional)
Co (0.0000, 0.0000, 0.0000)  4 Co 2.57, 4 Mg 2.71, 4 Rh 2.71
Co (0.5000, 0.5000, 0.0000)  4 Co 2.57, 4 Mg 2.71, 4 Rh 2.71
Mg (0.2500, 0.7500, 0.5000)  4 Rh 2.57, 8 Co 2.71
Rh (0.7500, 0.2500, 0.5000)  4 Mg 2.57, 8 Co 2.71


[2]
A plane-wave DFT calculation with GGA-PBE was carried out for crystalline Ba2ScSb at its relaxed geometry.

- Fermi-level density of states: 4.868 states/eV/f.u.
- Crystal system: tetragonal
- Total energy: -3.613 eV/atom
- Raw formation energy: -0.04 eV per atom
- Size of the total moment: 0.0 μB per formula unit

Cell: 9.8230 9.8230 7.6837 Å, 50.27 50.27 90.00°
With the nearest neighbours (Å) after each atom.
Element x y z (fractional)
Sc (0.5000, 0.5000, 0.0000)  2 Sb 3.29
Sc (0.2500, 0.7500, 0.5000)  2 Sb 3.29
Sb (0.0000, 0.0000, 0.0000)  2 Sc 3.29, 4 Ba 3.34
Sb (0.7500, 0.2500, 0.5000)  2 Sc 3.29, 4 Ba 3.34
Ba (0.6597, 0.1250, 0.2500)  2 Sb 3.34, 2 Ba 3.36
Ba (0.0903, 0.6250, 0.2500)  2 Sb 3.34, 2 Ba 3.36
Ba (0.3750, 0.3403, 0.7500)  2 Sb 3.34, 2 Ba 3.36
Ba (0.8750, 0.9097, 0.7500)  2 Sb 3.34, 2 Ba 3.36


[3]
A plane-wave DFT calculation with GGA-PBE was carried out for crystalline Ac2TlSn4Pt3 at its relaxed geometry.

- Fermi-level density of states: 3.115 states/eV/f.u.
- Crystal system: tetragonal
- Total energy: -5.200 eV/atom
- E_form: -7.29 eV per formula unit
- Size of the total moment: 0.0 μB per formula unit

Cell: 4.7459 4.7459 11.1685 Å, 90.00 90.00 90.00°
With the nearest neighbours (Å) after each atom.
Element x y z (fractional)
Ac (0.5000, 0.0000, 0.2476)  8 Sn 3.57-3.64, 6 Pt 3.64-3.68, 2 Tl 3.68
Ac (0.0000, 0.5000, 0.7524)  8 Sn 3.57-3.64, 6 Pt 3.64-3.68, 2 Tl 3.68
Tl (0.5000, 0.5000, 0.5000)  4 Sn 2.87
Sn (0.5000, 0.5000, 0.0000)  4 Pt 2.73
Sn (0.0000, 0.0000, 0.0000)  4 Pt 2.73
Sn (0.5000, 0.0000, 0.6439)  3 Pt 2.63-2.87, 2 Tl 2.87
Sn (0.0000, 0.5000, 0.3561)  3 Pt 2.63-2.87, 2 Tl 2.87
Pt (0.0000, 0.0000, 0.5000)  4 Sn 2.87
Pt (0.5000, 0.0000, 0.8798)  5 Sn 2.63-2.73
Pt (0.0000, 0.5000, 0.1202)  5 Sn 2.63-2.73


[4]
A plane-wave DFT calculation with GGA-PBE was carried out for crystalline LiCr2Ni at its relaxed geometry.

- Fermi-level density of states: 4.004 states/eV/f.u.
- Crystal system: monoclinic
- Total energy: -6.466 eV/atom
- E_form: 1.08 eV per formula unit
- Size of the total moment: 0.0 μB per formula unit

Cell: 4.2411 2.3673 4.6212 Å, 77.77 90.00 90.00°
With the nearest neighbours (Å) after each atom.
Element x y z (fractional)
Cr (0.0000, 0.0382, 0.9933)  4 Cr 2.26-2.47
Cr (0.0000, 0.4618, 0.5067)  4 Cr 2.26-2.47
└──

  1. Design
    1. Scale to 0 instance when:
      • There is no file need to be handled for more than 1 hour.
    2. Scale to 1 instance when one of these requirements satisfied:
      • File exists for more than 1 hour.
      • File count > 100.
      • File total size > 1 GB.
  2. Implement: Use Azure Blob Storage instead of Azure File Share. So related KEDA Scaler can be used.

3.2.2. Scale 1 - n

  1. Design: Scale instance number according to file count and total file size.
  2. Implement: To avoid competition between instances, use some proven technology like Master/slave module.